Brief
Now count the lines below that contain the word "xyz" and give the number alone.

File
=====
Entry 1:
{"formula": "C5H8O", "method": "ωB97M-V with the def2-TZVPD basis set", "symbols": ["O", "C", "C", "C", "C", "C", "H", "H", "H", "H", "H", "H", "H", "H"], "xyz": [[-0.8769, -1.8477, 0.0644], [-1.5397, -0.8235, -0.1987], [-1.0972, 0.5016, -0.0052], [0.2174, 1.0671, -0.5061], [1.2693, -0.0137, -0.2767], [0.7401, -0.5970, 0.9879], [-2.5659, -0.9749, -0.5814], [-1.9025, 1.2385, 0.0615], [0.1756, 1.4577, -1.5337], [0.4738, 1.9157, 0.1449], [1.2702, -0.7689, -1.0670], [2.2931, 0.3757, -0.1750], [0.9559, -1.6195, 1.2682], [0.5870, 0.0888, 1.8170]], "homo_lumo_gap_ev": [8.00, 7.01], "e_above_lowest_ev": 4.344, "charge": 0, "e_tot_ha": -270.39827}

Entry 2:
{"formula": "C5H5NO2", "method": "ωB97M-V with the def2-TZVPD basis set", "symbols": ["H", "N", "C", "C", "C", "C", "C", "O", "O", "H", "H", "H", "H"], "xyz": [[1.2759, 0.4888, 3.1315], [0.2952, 0.8112, 2.7739], [0.2977, 0.5011, 1.5448], [1.3025, -0.3802, 0.8450], [0.6063, -0.6974, -0.3187], [-0.6064, 0.0840, -0.4890], [-1.4525, 0.3474, -1.4709], [-1.2619, -0.3587, -2.6939], [-0.6982, 0.9657, 0.6484], [2.3269, -0.5528, 1.1527], [0.8503, -1.2402, -1.2731], [-2.1454, 1.3279, -1.3809], [-0.7903, -1.2967, -2.4697]], "homo_lumo_gap_ev": 8.27, "smiles": "[H]/N=C1C=C/C(=C\\O)O\\1", "e_above_lowest_ev": 3.324, "charge": 0, "e_tot_ha": -398.65631}

Entry 3:
{"formula": "C14H13BrN2O3S", "method": "ωB97M-V with the def2-TZVPD basis set", "symbols": ["C", "C", "C", "C", "O", "C", "C", "O", "N", "N", "C", "O", "C", "C", "C", "C", "S", "C", "C", "C", "Br", "H", "H", "H", "H", "H", "H", "H", "H", "H", "H", "H", "H", "H"], "xyz": [[-0.4477, 3.5792, -1.5907], [-0.7732, 2.1229, -1.5773], [-1.9088, 1.6468, -0.9465], [-2.1930, 0.2850, -0.8815], [-3.2901, -0.0597, -0.1277], [-3.4003, -1.3984, 0.2992], [-2.1153, -1.9200, 0.9421], [-1.7499, -3.0749, 0.8792], [-1.4248, -0.9724, 1.6239], [-0.0636, -1.1631, 1.8824], [0.7732, -0.1699, 1.4275], [0.3250, 0.9199, 1.1123], [2.1910, -0.4910, 1.4048], [2.8800, -1.6039, 1.8187], [4.2589, -1.5025, 1.5733], [4.5962, -0.3253, 0.9730], [3.2479, 0.6886, 0.7038], [-1.3551, -0.6248, -1.5145], [-0.2160, -0.1649, -2.1518], [0.0742, 1.1842, -2.1606], [1.6963, 1.7495, -2.9791], [-1.2595, 4.1605, -1.1632], [0.4557, 3.7575, -1.0072], [-0.2598, 3.9229, -2.6076], [-2.5820, 2.3313, -0.4548], [-3.6690, -2.0735, -0.5231], [-4.2121, -1.4056, 1.0324], [-1.6332, 0.0176, 1.5126], [0.1938, -2.1421, 1.8450], [2.4240, -2.4552, 2.2914], [4.9691, -2.2688, 1.8265], [5.5717, 0.0005, 0.6706], [-1.5574, -1.6840, -1.5072], [0.4538, -0.8664, -2.6258]], "homo_lumo_gap_ev": 8.68, "smiles": "Cc1cc(OCC(=O)NNC(=O)c2cccs2)ccc1Br", "e_above_lowest_ev": 0.000, "charge": 0, "e_tot_ha": -3848.72594}

Entry 4:
=====

Reply
3